Wanted.
Next, type out the block further below from the first line to the one with "60.00 60.00" exactly.
Material.
Theoretical powder diffractogram
Compound: TlSn3
Radiation: Cu Kα X-rays
Structure: a cell relaxed with GGA-PBE
Neutral-atom scattering factors, no anomalous dispersion.

Crystal structure
a = 3.7139 Å, b = 4.1189 Å, c = 7.6369 Å
α = 90.00°, β = 90.00°, γ = 90.00°
Space group Pmmm (No. 47)
Symmetry-distinct sites (fractional):
Tl: 0.0000 0.0000 0.0000 (multiplicity 1)
Sn: 0.0000 0.0000 0.5000 (multiplicity 1)
Sn: 0.5000 0.5000 0.2842 (multiplicity 2)

The 6 most intense peaks (10 to 80 degrees two-theta), in order of rising 2θ:
d (Å), Position (°2θ), Rel. int.
2.800, 32.0, 96
2.758, 32.5, 100
2.662, 33.7, 84
1.629, 56.5, 39
1.570, 58.8, 27
1.548, 59.8, 33

---

Theoretical powder diffractogram
Compound: Tl7Sn5
Radiation: Cu Kα X-rays
Structure: a cell relaxed with GGA-PBE
Neutral-atom scattering factors, no anomalous dispersion.

Crystal structure
a = 14.4089 Å, b = 4.9084 Å, c = 11.2223 Å
α = 90.00°, β = 115.65°, γ = 90.00°
Space group Cm (No. 8)
Symmetry-distinct sites (fractional):
Tl: 0.0000 0.0000 0.0000 (multiplicity 2)
Tl: 0.0027 0.5000 0.4993 (multiplicity 2)
Tl: 0.0855 0.5000 0.2548 (multiplicity 2)
Tl: 0.1633 0.5000 0.9994 (multiplicity 2)
Tl: 0.2459 0.5000 0.7514 (multiplicity 2)
Tl: 0.3265 0.0000 0.9979 (multiplicity 2)
Tl: 0.4123 0.5000 0.2547 (multiplicity 2)
Sn: 0.0633 0.0000 0.7368 (multiplicity 2)
Sn: 0.1822 0.0000 0.5118 (multiplicity 2)
Sn: 0.2522 0.0000 0.2696 (multiplicity 2)
Sn: 0.3299 0.5000 0.5024 (multiplicity 2)
Sn: 0.4175 0.0000 0.7470 (multiplicity 2)

The 6 most intense peaks (10 to 80 degrees two-theta), in order of rising 2θ:
d (Å), Position (°2θ), Rel. int.
2.846, 31.4, 100
2.835, 31.6, 97
2.529, 35.5, 36
2.454, 36.6, 34
2.401, 37.4, 30
1.761, 51.9, 25

---

Theoretical powder diffractogram
Compound: Tl4Sn
Radiation: Cu Kα X-rays
Structure: a cell relaxed with GGA-PBE
Neutral-atom scattering factors, no anomalous dispersion.

Crystal structure
a = 3.4534 Å, b = 3.4534 Å, c = 43.5080 Å
α = 90.00°, β = 90.00°, γ = 120.00°
Space group R-3m (No. 166, hexagonal axes)
Symmetry-distinct sites (fractional):
Tl: 0.0000 0.0000 0.1000 (multiplicity 6)
Tl: 0.0000 0.0000 0.3004 (multiplicity 6)
Sn: 0.0000 0.0000 0.5000 (multiplicity 3)

The 6 most intense peaks (10 to 80 degrees two-theta), in order of rising 2θ:
d (Å), Position (°2θ), Rel. int.
2.901, 30.8, 36
2.828, 31.6, 100
2.465, 36.5, 69
1.759, 52.0, 25
1.727, 53.0, 24
1.484, 62.6, 29

---

Q: What is the formula in the third record?
A: Tl4Sn

* * * * *

PuThSc: theoretical powder XRD pattern (λ = 1.5418 Å (Cu Kα)), based on the GGA-PBE geometry in OQMD.
Intensities are scaled so that the largest is 100.

Principal peaks in the range 2θ from 5° to 70°, in order of falling intensity:
2θ 36.01, I 100
2θ 25.25, I 82
2θ 64.74, I 37
2θ 58.52, I 35
2θ 44.49, I 26
2θ 51.85, I 18
2θ 21.82, I 2
2θ 42.50, I 1

Structural model:
Cell: 4.988 4.988 4.988 Å, 60.00 60.00 60.00°
Sites, in units of the cell vectors:
Pu  0.000  0.000  0.000
Th  0.500  0.500  0.500
Sc  0.250  0.250  0.250
Reply.
Theoretical powder diffractogram
Compound: TlSn3
Radiation: Cu Kα X-rays
Structure: a cell relaxed with GGA-PBE
Neutral-atom scattering factors, no anomalous dispersion.

Crystal structure
a = 3.7139 Å, b = 4.1189 Å, c = 7.6369 Å
α = 90.00°, β = 90.00°, γ = 90.00°
Space group Pmmm (No. 47)
Symmetry-distinct sites (fractional):
Tl: 0.0000 0.0000 0.0000 (multiplicity 1)
Sn: 0.0000 0.0000 0.5000 (multiplicity 1)
Sn: 0.5000 0.5000 0.2842 (multiplicity 2)

The 6 most intense peaks (10 to 80 degrees two-theta), in order of rising 2θ:
d (Å), Position (°2θ), Rel. int.
2.800, 32.0, 96
2.758, 32.5, 100
2.662, 33.7, 84
1.629, 56.5, 39
1.570, 58.8, 27
1.548, 59.8, 33

---

Theoretical powder diffractogram
Compound: Tl7Sn5
Radiation: Cu Kα X-rays
Structure: a cell relaxed with GGA-PBE
Neutral-atom scattering factors, no anomalous dispersion.

Crystal structure
a = 14.4089 Å, b = 4.9084 Å, c = 11.2223 Å
α = 90.00°, β = 115.65°, γ = 90.00°
Space group Cm (No. 8)
Symmetry-distinct sites (fractional):
Tl: 0.0000 0.0000 0.0000 (multiplicity 2)
Tl: 0.0027 0.5000 0.4993 (multiplicity 2)
Tl: 0.0855 0.5000 0.2548 (multiplicity 2)
Tl: 0.1633 0.5000 0.9994 (multiplicity 2)
Tl: 0.2459 0.5000 0.7514 (multiplicity 2)
Tl: 0.3265 0.0000 0.9979 (multiplicity 2)
Tl: 0.4123 0.5000 0.2547 (multiplicity 2)
Sn: 0.0633 0.0000 0.7368 (multiplicity 2)
Sn: 0.1822 0.0000 0.5118 (multiplicity 2)
Sn: 0.2522 0.0000 0.2696 (multiplicity 2)
Sn: 0.3299 0.5000 0.5024 (multiplicity 2)
Sn: 0.4175 0.0000 0.7470 (multiplicity 2)

The 6 most intense peaks (10 to 80 degrees two-theta), in order of rising 2θ:
d (Å), Position (°2θ), Rel. int.
2.846, 31.4, 100
2.835, 31.6, 97
2.529, 35.5, 36
2.454, 36.6, 34
2.401, 37.4, 30
1.761, 51.9, 25

---

Theoretical powder diffractogram
Compound: Tl4Sn
Radiation: Cu Kα X-rays
Structure: a cell relaxed with GGA-PBE
Neutral-atom scattering factors, no anomalous dispersion.

Crystal structure
a = 3.4534 Å, b = 3.4534 Å, c = 43.5080 Å
α = 90.00°, β = 90.00°, γ = 120.00°
Space group R-3m (No. 166, hexagonal axes)
Symmetry-distinct sites (fractional):
Tl: 0.0000 0.0000 0.1000 (multiplicity 6)
Tl: 0.0000 0.0000 0.3004 (multiplicity 6)
Sn: 0.0000 0.0000 0.5000 (multiplicity 3)

The 6 most intense peaks (10 to 80 degrees two-theta), in order of rising 2θ:
d (Å), Position (°2θ), Rel. int.
2.901, 30.8, 36
2.828, 31.6, 100
2.465, 36.5, 69
1.759, 52.0, 25
1.727, 53.0, 24
1.484, 62.6, 29

---

Q: What is the formula in the third record?
A: Tl4Sn

* * * * *

PuThSc: theoretical powder XRD pattern (λ = 1.5418 Å (Cu Kα)), based on the GGA-PBE geometry in OQMD.
Intensities are scaled so that the largest is 100.

Principal peaks in the range 2θ from 5° to 70°, in order of falling intensity:
2θ 36.01, I 100
2θ 25.25, I 82
2θ 64.74, I 37
2θ 58.52, I 35
2θ 44.49, I 26
2θ 51.85, I 18
2θ 21.82, I 2
2θ 42.50, I 1

Structural model:
Cell: 4.988 4.988 4.988 Å, 60.00 60.00 60.00°